Contents =
-- begin --
[1]
VASP calculation (PBE) on crystalline Ti17N6O24 at its relaxed geometry.

E_form: -3.008 eV/atom
energy above the lowest structure with this stoichiometry: 0.06 eV per formula unit
spin magnetization: 0.0 Bohr magnetons per cell
energy: -9.10 eV per atom
calculated volume: 1112.9 Å³/cell

a b c (Å): 10.400 10.712 10.738
angles (deg): 108.54 97.53 95.30
Atoms (fractional coordinates):
O  0.480  0.055  0.618
O  0.861  0.076  0.051
O  0.520  0.945  0.382
Ti  0.122  0.853  0.250
Ti  0.790  0.305  0.555
Ti  0.145  0.572  0.073
O  0.748  0.875  0.438
Ti  0.292  0.312  0.571
O  0.584  0.793  0.565
O  0.353  0.083  0.062
O  0.857  0.807  0.879
Ti  0.968  0.649  0.577
Ti  0.186  0.090  0.923
O  0.521  0.418  0.064
O  0.190  0.476  0.881
Ti  0.024  0.766  0.923
O  0.019  0.419  0.063
O  0.814  0.723  0.617
O  0.309  0.523  0.117
O  0.416  0.459  0.565
Ti  0.312  0.898  0.057
Ti  0.878  0.147  0.750
O  0.751  0.126  0.564
Ti  0.712  0.816  0.751
Ti  0.872  0.025  0.423
O  0.479  0.582  0.936
O  0.810  0.524  0.119
Ti  0.353  0.430  0.928
O  0.186  0.277  0.383
O  0.024  0.145  0.881
Ti  0.128  0.975  0.577
Ti  0.377  0.150  0.750
Ti  0.545  0.484  0.749
O  0.522  0.142  0.877
O  0.976  0.855  0.119
N  0.052  0.663  0.750
O  0.584  0.541  0.435
Ti  0.041  0.480  0.749
Ti  0.210  0.695  0.445
O  0.143  0.193  0.121
O  0.149  0.391  0.621
Ti  0.455  0.516  0.251
O  0.082  0.544  0.438
N  0.231  0.021  0.750
N  0.399  0.340  0.750
Ti  0.288  0.184  0.249
O  0.252  0.125  0.562
O  0.478  0.858  0.123
N  0.430  0.327  0.250
Ti  0.032  0.351  0.423
O  0.684  0.282  0.390
N  0.769  0.979  0.250
N  0.948  0.337  0.250
Ti  0.623  0.850  0.250
O  0.139  0.924  0.949
N  0.736  0.007  0.751
Ti  0.540  0.355  0.429
Ti  0.519  0.765  0.930
Ti  0.976  0.234  0.077
Ti  0.959  0.520  0.251
N  0.570  0.673  0.750
O  0.354  0.609  0.377
Ti  0.708  0.688  0.429
Ti  0.855  0.428  0.927
O  0.687  0.750  0.065
O  0.313  0.250  0.935
O  0.647  0.917  0.938
O  0.638  0.189  0.109
O  0.249  0.874  0.436
Ti  0.647  0.570  0.072
O  0.362  0.811  0.891
O  0.416  0.207  0.435
O  0.979  0.053  0.620
O  0.691  0.477  0.883
O  0.316  0.718  0.610
O  0.021  0.947  0.380
O  0.073  0.792  0.550
Ti  0.629  0.978  0.574
O  0.187  0.750  0.063
O  0.927  0.208  0.450
Ti  0.688  0.102  0.943
N  0.601  0.660  0.250
O  0.851  0.609  0.379
O  0.918  0.456  0.562
N  0.101  0.660  0.249
N  0.264  0.993  0.249
N  0.899  0.340  0.751
O  0.981  0.581  0.937
Ti  0.481  0.235  0.070
Ti  0.814  0.910  0.077
Ti  0.460  0.645  0.571
O  0.646  0.391  0.623
Ti  0.371  0.022  0.426
O  0.813  0.250  0.937

***

[2]
VASP calculation (PBE) on crystalline Ti17N6O24 at its relaxed geometry.

E_form: -3.008 eV/atom
energy above the lowest structure with this stoichiometry: 0.05 eV per formula unit
spin magnetization: 0.8 Bohr magnetons per cell
energy: -9.10 eV per atom
calculated volume: 1114.1 Å³/cell

a b c (Å): 7.643 14.649 10.739
angles (deg): 92.68 69.15 97.49
Atoms (fractional coordinates):
Ti  0.347  0.242  0.428
Ti  0.509  0.536  0.750
O  0.137  0.301  0.877
Ti  0.842  0.867  0.750
Ti  0.689  0.905  0.074
O  0.438  0.971  0.609
O  0.605  0.538  0.059
O  0.221  0.785  0.951
Ti  0.198  0.907  0.057
O  0.919  0.795  0.560
O  0.249  0.126  0.564
Ti  0.472  0.760  0.924
O  0.862  0.699  0.120
N  0.747  0.488  0.750
O  0.267  0.301  0.618
Ti  0.644  0.428  0.926
Ti  0.688  0.573  0.424
O  0.585  0.209  0.433
N  0.420  0.180  0.250
O  0.966  0.635  0.880
O  0.764  0.301  0.623
O  0.252  0.875  0.435
O  0.937  0.875  0.064
Ti  0.320  0.428  0.574
Ti  0.987  0.092  0.572
O  0.801  0.969  0.881
O  0.911  0.548  0.451
O  0.532  0.365  0.119
O  0.634  0.301  0.882
N  0.060  0.812  0.750
N  0.414  0.156  0.750
Ti  0.324  0.797  0.250
O  0.583  0.458  0.564
O  0.933  0.969  0.619
Ti  0.158  0.760  0.576
Ti  0.308  0.091  0.930
N  0.913  0.154  0.750
N  0.274  0.522  0.250
Ti  0.646  0.760  0.576
Ti  0.524  0.242  0.072
O  0.570  0.033  0.377
Ti  0.861  0.573  0.076
Ti  0.156  0.131  0.250
-- stop --

What to do =
Your job: repeat the whole of the material earlier on without additions.

Reply =
[1]
VASP calculation (PBE) on crystalline Ti17N6O24 at its relaxed geometry.

E_form: -3.008 eV/atom
energy above the lowest structure with this stoichiometry: 0.06 eV per formula unit
spin magnetization: 0.0 Bohr magnetons per cell
energy: -9.10 eV per atom
calculated volume: 1112.9 Å³/cell

a b c (Å): 10.400 10.712 10.738
angles (deg): 108.54 97.53 95.30
Atoms (fractional coordinates):
O  0.480  0.055  0.618
O  0.861  0.076  0.051
O  0.520  0.945  0.382
Ti  0.122  0.853  0.250
Ti  0.790  0.305  0.555
Ti  0.145  0.572  0.073
O  0.748  0.875  0.438
Ti  0.292  0.312  0.571
O  0.584  0.793  0.565
O  0.353  0.083  0.062
O  0.857  0.807  0.879
Ti  0.968  0.649  0.577
Ti  0.186  0.090  0.923
O  0.521  0.418  0.064
O  0.190  0.476  0.881
Ti  0.024  0.766  0.923
O  0.019  0.419  0.063
O  0.814  0.723  0.617
O  0.309  0.523  0.117
O  0.416  0.459  0.565
Ti  0.312  0.898  0.057
Ti  0.878  0.147  0.750
O  0.751  0.126  0.564
Ti  0.712  0.816  0.751
Ti  0.872  0.025  0.423
O  0.479  0.582  0.936
O  0.810  0.524  0.119
Ti  0.353  0.430  0.928
O  0.186  0.277  0.383
O  0.024  0.145  0.881
Ti  0.128  0.975  0.577
Ti  0.377  0.150  0.750
Ti  0.545  0.484  0.749
O  0.522  0.142  0.877
O  0.976  0.855  0.119
N  0.052  0.663  0.750
O  0.584  0.541  0.435
Ti  0.041  0.480  0.749
Ti  0.210  0.695  0.445
O  0.143  0.193  0.121
O  0.149  0.391  0.621
Ti  0.455  0.516  0.251
O  0.082  0.544  0.438
N  0.231  0.021  0.750
N  0.399  0.340  0.750
Ti  0.288  0.184  0.249
O  0.252  0.125  0.562
O  0.478  0.858  0.123
N  0.430  0.327  0.250
Ti  0.032  0.351  0.423
O  0.684  0.282  0.390
N  0.769  0.979  0.250
N  0.948  0.337  0.250
Ti  0.623  0.850  0.250
O  0.139  0.924  0.949
N  0.736  0.007  0.751
Ti  0.540  0.355  0.429
Ti  0.519  0.765  0.930
Ti  0.976  0.234  0.077
Ti  0.959  0.520  0.251
N  0.570  0.673  0.750
O  0.354  0.609  0.377
Ti  0.708  0.688  0.429
Ti  0.855  0.428  0.927
O  0.687  0.750  0.065
O  0.313  0.250  0.935
O  0.647  0.917  0.938
O  0.638  0.189  0.109
O  0.249  0.874  0.436
Ti  0.647  0.570  0.072
O  0.362  0.811  0.891
O  0.416  0.207  0.435
O  0.979  0.053  0.620
O  0.691  0.477  0.883
O  0.316  0.718  0.610
O  0.021  0.947  0.380
O  0.073  0.792  0.550
Ti  0.629  0.978  0.574
O  0.187  0.750  0.063
O  0.927  0.208  0.450
Ti  0.688  0.102  0.943
N  0.601  0.660  0.250
O  0.851  0.609  0.379
O  0.918  0.456  0.562
N  0.101  0.660  0.249
N  0.264  0.993  0.249
N  0.899  0.340  0.751
O  0.981  0.581  0.937
Ti  0.481  0.235  0.070
Ti  0.814  0.910  0.077
Ti  0.460  0.645  0.571
O  0.646  0.391  0.623
Ti  0.371  0.022  0.426
O  0.813  0.250  0.937

***

[2]
VASP calculation (PBE) on crystalline Ti17N6O24 at its relaxed geometry.

E_form: -3.008 eV/atom
energy above the lowest structure with this stoichiometry: 0.05 eV per formula unit
spin magnetization: 0.8 Bohr magnetons per cell
energy: -9.10 eV per atom
calculated volume: 1114.1 Å³/cell

a b c (Å): 7.643 14.649 10.739
angles (deg): 92.68 69.15 97.49
Atoms (fractional coordinates):
Ti  0.347  0.242  0.428
Ti  0.509  0.536  0.750
O  0.137  0.301  0.877
Ti  0.842  0.867  0.750
Ti  0.689  0.905  0.074
O  0.438  0.971  0.609
O  0.605  0.538  0.059
O  0.221  0.785  0.951
Ti  0.198  0.907  0.057
O  0.919  0.795  0.560
O  0.249  0.126  0.564
Ti  0.472  0.760  0.924
O  0.862  0.699  0.120
N  0.747  0.488  0.750
O  0.267  0.301  0.618
Ti  0.644  0.428  0.926
Ti  0.688  0.573  0.424
O  0.585  0.209  0.433
N  0.420  0.180  0.250
O  0.966  0.635  0.880
O  0.764  0.301  0.623
O  0.252  0.875  0.435
O  0.937  0.875  0.064
Ti  0.320  0.428  0.574
Ti  0.987  0.092  0.572
O  0.801  0.969  0.881
O  0.911  0.548  0.451
O  0.532  0.365  0.119
O  0.634  0.301  0.882
N  0.060  0.812  0.750
N  0.414  0.156  0.750
Ti  0.324  0.797  0.250
O  0.583  0.458  0.564
O  0.933  0.969  0.619
Ti  0.158  0.760  0.576
Ti  0.308  0.091  0.930
N  0.913  0.154  0.750
N  0.274  0.522  0.250
Ti  0.646  0.760  0.576
Ti  0.524  0.242  0.072
O  0.570  0.033  0.377
Ti  0.861  0.573  0.076
Ti  0.156  0.131  0.250